== Brief ==
Now retype only the lines further below with the word "H2" in them.

== Given ==
=====
1.
Formula: C48H62As3ClCsF3N6O4P
Source: the OMol25 dataset
Level of theory: ωB97M-V/def2-TZVPD

Values from the calculation:
molecular weight: 1268.15 g/mol
energy above the lowest of the compared OMol25 structures with the same formula, charge and spin: 2.0233 eV
2S+1: 1
HOMO level: -3.4 eV
net charge: -1

Atoms and positions in Å:
Cs1 -0.85 -0.52 0.03
As1 4.75 0.67 -0.34
As2 2.07 -1.14 1.60
As3 7.10 0.76 4.83
Cl1 -2.41 1.95 7.94
P1 -0.84 3.10 -0.47
F1 1.53 3.98 -5.70
F2 5.67 0.62 -3.58
F3 3.86 1.82 -3.06
O1 -0.14 0.71 2.66
O2 -2.91 -2.46 -2.69
O3 -0.67 0.87 -2.42
O4 -0.87 -2.08 -1.82
N1 1.76 2.97 0.55
N2 -1.67 -0.48 -6.13
N3 1.05 5.18 -0.16
N4 -2.83 0.29 1.83
N5 -3.60 1.33 -0.64
N6 0.18 4.22 1.91
C1 -3.71 -1.36 -7.23
C2 -1.03 3.61 1.31
C3 -5.09 -2.37 0.55
C4 0.58 5.43 1.20
C5 4.57 0.60 -2.70
C6 0.76 2.17 -0.22
C7 -4.66 1.06 -2.78
C8 8.24 1.05 3.26
C9 0.37 2.22 -4.65
C10 -0.66 0.97 3.79
C11 5.83 2.30 -0.63
C12 -0.39 1.31 -7.19
C13 -2.58 1.19 5.33
C14 -0.86 0.38 -3.54
C15 -0.04 4.69 -1.02
C16 1.02 -2.22 2.88
C17 -2.17 0.18 -8.45
C18 -4.09 0.12 -0.28
C19 -3.87 1.77 -1.84
C20 0.76 2.87 -5.78
C21 -0.78 0.76 -8.53
C22 5.16 0.91 1.73
C23 -1.76 1.58 6.35
C24 -5.17 -0.15 -2.41
C25 -3.76 -0.38 1.03
C26 3.37 -0.52 2.98
C27 -0.38 1.68 6.13
C28 -3.06 0.47 3.07
C29 2.14 4.26 -0.14
C30 0.14 1.39 4.90
C31 -2.08 0.90 4.06
C32 1.27 3.29 1.95
C33 3.01 -2.70 0.83
C34 -1.51 -0.89 -3.75
C35 -2.26 -0.93 -7.41
C36 4.87 -0.16 2.79
C37 -1.91 -1.21 -5.01
C38 0.39 2.42 -7.05
C39 5.66 -1.43 2.49
C40 -5.40 -1.91 -0.69
C41 -4.91 -0.65 -1.12
C42 6.14 -0.69 -0.60
C43 -1.80 -1.90 -2.65
C44 -0.85 0.64 -6.03
C45 5.27 0.36 4.19
C46 -4.26 -1.61 1.40
C47 7.73 -1.06 5.23
C48 -0.45 1.08 -4.77
H1 0.97 2.34 2.40
H2 9.27 1.07 3.64
H3 5.71 -1.69 -0.64
H4 4.94 -0.35 4.96
H5 -3.42 2.72 -2.12
H6 2.12 3.74 2.47
H7 6.86 -0.64 0.22
H8 -2.49 -2.11 -5.14
H9 0.34 4.57 -2.04
H10 8.15 0.28 2.50
H11 -4.26 -0.59 -6.68
H12 -4.83 1.48 -3.76
H13 -1.31 2.73 1.88
H14 6.63 -0.47 -1.54
H15 0.70 2.54 -3.67
H16 0.23 -2.76 2.36
H17 0.57 -1.57 3.62
H18 6.22 1.19 1.81
H19 8.72 -0.99 5.67
H20 3.57 -3.26 1.58
H21 3.68 -2.38 0.03
H22 1.21 1.90 -1.18
H23 2.85 0.32 3.43
H24 7.77 -1.70 4.35
H25 6.88 2.04 -0.52
H26 5.34 -1.89 1.55
H27 1.21 1.45 4.74
H28 5.59 3.05 0.13
H29 -5.44 -3.34 0.88
H30 2.24 -3.34 0.39
H31 -2.48 -0.24 -9.41
H32 0.26 1.99 6.95
H33 0.75 2.96 -7.92
H34 -0.27 6.11 1.16
H35 5.53 -2.17 3.29
H36 2.97 4.67 0.43
H37 -2.89 0.96 -8.19
H38 -0.82 5.46 -1.07
H39 -1.85 4.33 1.38
H40 -3.65 1.11 5.51
H41 4.60 1.83 2.00
H42 1.71 -2.93 3.35
H43 -5.76 -0.74 -3.10
H44 5.66 2.69 -1.63
H45 2.59 2.36 0.59
H46 3.90 -0.17 -3.12
H47 1.39 5.90 1.76
H48 -4.08 0.30 3.46
H49 4.71 1.28 4.38
H50 0.60 1.26 0.34
H51 -5.98 -2.51 -1.38
H52 7.06 -1.51 5.96
H53 -3.98 -2.00 2.37
H54 3.35 -1.32 3.73
H55 6.73 -1.22 2.39
H56 -4.17 -1.48 -8.21
H57 -0.07 -0.03 -8.82
H58 -3.82 -2.30 -6.70
H59 -0.71 1.54 -9.29
H60 2.47 3.99 -1.14
H61 -1.67 -1.78 -7.76
H62 8.02 2.02 2.82



2.
Formula: C48H64MoN5O2PS
Source: the OMol25 dataset
Level of theory: ωB97M-V/def2-TZVPD

Values from the calculation:
molecular weight: 902.05 g/mol
energy above the lowest of the compared OMol25 structures with the same formula, charge and spin: 0.3224 eV
2S+1: 3
HOMO level (spin up / spin down): -11.9 / -12.4 eV
<S²>: 2.058
net charge: +2

Atoms and positions in Å:
Mo1 0.87 0.65 0.85
S1 0.58 1.00 -1.81
P1 -1.81 0.58 0.37
O1 -1.34 -0.59 8.64
O2 -1.74 1.45 7.89
N1 0.55 -0.78 2.39
N2 2.49 1.86 -3.45
N3 1.89 -1.08 0.20
N4 0.50 3.10 -3.37
N5 -0.72 -1.95 -1.29
C1 -2.89 -1.79 1.47
C2 -5.26 0.54 -3.62
C3 0.94 -1.98 2.15
C4 2.34 3.70 -0.69
C5 -1.35 0.34 7.67
C6 0.68 4.10 -4.43
C7 0.31 4.29 1.55
C8 0.39 -2.90 -3.30
C9 1.27 2.10 -2.96
C10 0.24 -1.68 -4.16
C11 -0.76 -4.52 -0.04
C12 1.06 2.57 3.97
C13 2.40 -3.38 0.73
C14 -1.82 3.22 -0.70
C15 3.37 0.56 3.15
C16 -0.05 -4.28 -1.35
C17 2.54 1.37 2.21
C18 2.07 2.77 0.44
C19 -0.86 -0.06 6.31
C20 1.20 -5.21 -3.21
C21 3.20 2.46 -4.58
C22 -4.02 -0.08 -3.04
C23 2.93 1.72 0.88
C24 -3.47 -1.24 -3.60
C25 2.77 -1.18 -0.81
=====

== Written answer ==
H2 9.27 1.07 3.64